What to do:
Your job: return all of the notes further below with every line break kept.

Material:
'''
Entry 1:
CsSrBr3 | r²SCAN | relaxed

symmetry = P1 (1)
formation enthalpy at 0 K = -2.2586 eV per atom

a b c (Å): 5.969 5.974 5.970
angles (deg): 89.98 89.95 89.95
Element x y z (fractional)
1 Cs 0.995 0.997 0.994
2 Sr 0.487 0.500 0.497
3 Br 0.484 0.000 0.494
4 Br 0.987 0.505 0.508
5 Br 0.487 0.497 0.997

---

Entry 2:
Cs3Tb2Br9 | r²SCAN | relaxed

symmetry = R-3c (167)
formation enthalpy at 0 K = -2.1724 eV per atom

a b c (Å): 10.275 10.275 10.275
angles (deg): 83.89 83.89 83.89
Element x y z (fractional)
1 Cs 0.750 0.412 0.088
2 Cs 0.088 0.750 0.412
3 Cs 0.250 0.588 0.912
4 Cs 0.412 0.088 0.750
5 Cs 0.912 0.250 0.588
6 Cs 0.588 0.912 0.250
7 Tb 0.350 0.350 0.350
8 Tb 0.650 0.650 0.650
9 Tb 0.850 0.850 0.850
10 Tb 0.150 0.150 0.150
11 Br 0.415 0.766 0.580
12 Br 0.234 0.420 0.585
13 Br 0.407 0.250 0.093
14 Br 0.093 0.407 0.250
15 Br 0.920 0.734 0.085
16 Br 0.915 0.080 0.266
17 Br 0.593 0.750 0.907
18 Br 0.750 0.907 0.593
19 Br 0.580 0.415 0.766
20 Br 0.250 0.093 0.407
21 Br 0.766 0.580 0.415
22 Br 0.734 0.085 0.920
23 Br 0.080 0.266 0.915
24 Br 0.420 0.585 0.234
25 Br 0.585 0.234 0.420
26 Br 0.907 0.593 0.750
27 Br 0.266 0.915 0.080
28 Br 0.085 0.920 0.734

~~~~~

VASP calculation (PBE-GGA) on a relaxed Ta2CdBi crystal.

Lattice parameters (Å, degrees): 4.9573 4.9573 4.9573 60.00 60.00 60.00
With the nearest neighbours (Å) after each atom.
Element x y z (fractional)
Ta (0.0000, 0.0000, 0.0000)  4 Bi 3.04, 4 Ta 3.04
Ta (0.2500, 0.2500, 0.2500)  4 Cd 3.04, 4 Ta 3.04
Cd (0.5000, 0.5000, 0.5000)  4 Ta 3.04, 4 Bi 3.04
Bi (0.7500, 0.7500, 0.7500)  4 Cd 3.04, 4 Ta 3.04

ΔH_f (0 K), eV per atom: 0.775
Mass density, g/cm3: 13.2
Space-group type: F-43m

VASP calculation (PBE-GGA) on a relaxed LaAl2Ag3 crystal.

Lattice parameters (Å, degrees): 5.6092 5.6092 4.5722 90.00 90.00 120.96
With the nearest neighbours (Å) after each atom.
Element x y z (fractional)
La (0.0000, 0.0000, 0.0000)  6 Ag 3.17-3.25
Al (0.0000, 0.5000, 0.5000)  2 Al 2.76, 6 Ag 2.77-2.80
Al (0.5000, 0.0000, 0.5000)  2 Al 2.76, 6 Ag 2.77-2.80
Ag (0.3249, 0.6751, 0.0000)  4 Al 2.77, 2 Ag 2.85
Ag (0.5000, 0.5000, 0.5000)  4 Al 2.80, 4 Ag 2.85
Ag (0.6751, 0.3249, 0.0000)  4 Al 2.77, 2 Ag 2.85

ΔH_f (0 K), eV per atom: -0.340
Mass density, g/cm3: 7.0
Space-group type: Cmmm

VASP calculation (PBE-GGA) on a relaxed Sm8Ga21Ru11 crystal.

Lattice parameters (Å, degrees): 11.4256 11.4256 5.6642 90.00 90.00 90.07
With the nearest neighbours (Å) after each atom.
Element x y z (fractional)
Sm (0.0758, 0.7365, 0.2506)  7 Ga 2.99-3.20, 2 Ru 3.21-3.22
Sm (0.2370, 0.4249, 0.2513)  7 Ga 2.96-3.21, 2 Ru 3.22
Sm (0.2635, 0.9242, 0.7494)  7 Ga 2.99-3.20, 2 Ru 3.21-3.22
Sm (0.4249, 0.2370, 0.7487)  7 Ga 2.96-3.21, 2 Ru 3.22
Sm (0.5751, 0.7630, 0.7487)  7 Ga 2.96-3.21, 2 Ru 3.22
Sm (0.7365, 0.0758, 0.7494)  7 Ga 2.99-3.20, 2 Ru 3.21-3.22
Sm (0.7630, 0.5751, 0.2513)  7 Ga 2.96-3.21, 2 Ru 3.22
Sm (0.9242, 0.2635, 0.2506)  7 Ga 2.99-3.20, 2 Ru 3.21-3.22
Ga (0.0000, 0.5000, 0.0054)  4 Ru 2.59, 2 Ga 2.77-2.89
Ga (0.0000, 0.5000, 0.4944)  4 Ru 2.60, 2 Ga 2.77-2.89
Ga (0.0258, 0.8141, 0.7497)  4 Ru 2.56-2.58, 2 Ga 2.75
Ga (0.1799, 0.1799, 0.0000)  2 Ru 2.54, 4 Ga 2.75-2.83
Ga (0.1802, 0.1802, 0.5000)  2 Ru 2.55, 4 Ga 2.75-2.83
Ga (0.1859, 0.9742, 0.2503)  4 Ru 2.56-2.58, 2 Ga 2.75
Ga (0.3112, 0.4736, 0.7417)  3 Ru 2.55-2.57, 3 Ga 2.62-2.81
Ga (0.3163, 0.6837, 0.0000)  2 Ru 2.53, 2 Ga 2.81
Ga (0.3204, 0.6796, 0.5000)  2 Ru 2.56, 4 Ga 2.72-2.83
Ga (0.4736, 0.3112, 0.2583)  3 Ru 2.55-2.57, 3 Ga 2.62-2.81
Ga (0.5000, 0.0000, 0.5056)  4 Ru 2.60, 2 Ga 2.77-2.89
Ga (0.5000, 0.0000, 0.9946)  4 Ru 2.59, 2 Ga 2.77-2.89
Ga (0.5000, 0.5000, 0.0000)  4 Ga 2.62, 2 Ru 2.83
Ga (0.5264, 0.6888, 0.2583)  3 Ru 2.55-2.57, 3 Ga 2.62-2.81
Ga (0.6796, 0.3204, 0.5000)  2 Ru 2.56, 4 Ga 2.72-2.83
Ga (0.6837, 0.3163, 0.0000)  2 Ru 2.53, 2 Ga 2.81
Ga (0.6888, 0.5264, 0.7417)  3 Ru 2.55-2.57, 3 Ga 2.62-2.81
Ga (0.8141, 0.0258, 0.2503)  4 Ru 2.56-2.58, 2 Ga 2.75
Ga (0.8201, 0.8201, 0.0000)  2 Ru 2.54, 4 Ga 2.75-2.83
'''

Outcome:
Entry 1:
CsSrBr3 | r²SCAN | relaxed

symmetry = P1 (1)
formation enthalpy at 0 K = -2.2586 eV per atom

a b c (Å): 5.969 5.974 5.970
angles (deg): 89.98 89.95 89.95
Element x y z (fractional)
1 Cs 0.995 0.997 0.994
2 Sr 0.487 0.500 0.497
3 Br 0.484 0.000 0.494
4 Br 0.987 0.505 0.508
5 Br 0.487 0.497 0.997

---

Entry 2:
Cs3Tb2Br9 | r²SCAN | relaxed

symmetry = R-3c (167)
formation enthalpy at 0 K = -2.1724 eV per atom

a b c (Å): 10.275 10.275 10.275
angles (deg): 83.89 83.89 83.89
Element x y z (fractional)
1 Cs 0.750 0.412 0.088
2 Cs 0.088 0.750 0.412
3 Cs 0.250 0.588 0.912
4 Cs 0.412 0.088 0.750
5 Cs 0.912 0.250 0.588
6 Cs 0.588 0.912 0.250
7 Tb 0.350 0.350 0.350
8 Tb 0.650 0.650 0.650
9 Tb 0.850 0.850 0.850
10 Tb 0.150 0.150 0.150
11 Br 0.415 0.766 0.580
12 Br 0.234 0.420 0.585
13 Br 0.407 0.250 0.093
14 Br 0.093 0.407 0.250
15 Br 0.920 0.734 0.085
16 Br 0.915 0.080 0.266
17 Br 0.593 0.750 0.907
18 Br 0.750 0.907 0.593
19 Br 0.580 0.415 0.766
20 Br 0.250 0.093 0.407
21 Br 0.766 0.580 0.415
22 Br 0.734 0.085 0.920
23 Br 0.080 0.266 0.915
24 Br 0.420 0.585 0.234
25 Br 0.585 0.234 0.420
26 Br 0.907 0.593 0.750
27 Br 0.266 0.915 0.080
28 Br 0.085 0.920 0.734

~~~~~

VASP calculation (PBE-GGA) on a relaxed Ta2CdBi crystal.

Lattice parameters (Å, degrees): 4.9573 4.9573 4.9573 60.00 60.00 60.00
With the nearest neighbours (Å) after each atom.
Element x y z (fractional)
Ta (0.0000, 0.0000, 0.0000)  4 Bi 3.04, 4 Ta 3.04
Ta (0.2500, 0.2500, 0.2500)  4 Cd 3.04, 4 Ta 3.04
Cd (0.5000, 0.5000, 0.5000)  4 Ta 3.04, 4 Bi 3.04
Bi (0.7500, 0.7500, 0.7500)  4 Cd 3.04, 4 Ta 3.04

ΔH_f (0 K), eV per atom: 0.775
Mass density, g/cm3: 13.2
Space-group type: F-43m

VASP calculation (PBE-GGA) on a relaxed LaAl2Ag3 crystal.

Lattice parameters (Å, degrees): 5.6092 5.6092 4.5722 90.00 90.00 120.96
With the nearest neighbours (Å) after each atom.
Element x y z (fractional)
La (0.0000, 0.0000, 0.0000)  6 Ag 3.17-3.25
Al (0.0000, 0.5000, 0.5000)  2 Al 2.76, 6 Ag 2.77-2.80
Al (0.5000, 0.0000, 0.5000)  2 Al 2.76, 6 Ag 2.77-2.80
Ag (0.3249, 0.6751, 0.0000)  4 Al 2.77, 2 Ag 2.85
Ag (0.5000, 0.5000, 0.5000)  4 Al 2.80, 4 Ag 2.85
Ag (0.6751, 0.3249, 0.0000)  4 Al 2.77, 2 Ag 2.85

ΔH_f (0 K), eV per atom: -0.340
Mass density, g/cm3: 7.0
Space-group type: Cmmm

VASP calculation (PBE-GGA) on a relaxed Sm8Ga21Ru11 crystal.

Lattice parameters (Å, degrees): 11.4256 11.4256 5.6642 90.00 90.00 90.07
With the nearest neighbours (Å) after each atom.
Element x y z (fractional)
Sm (0.0758, 0.7365, 0.2506)  7 Ga 2.99-3.20, 2 Ru 3.21-3.22
Sm (0.2370, 0.4249, 0.2513)  7 Ga 2.96-3.21, 2 Ru 3.22
Sm (0.2635, 0.9242, 0.7494)  7 Ga 2.99-3.20, 2 Ru 3.21-3.22
Sm (0.4249, 0.2370, 0.7487)  7 Ga 2.96-3.21, 2 Ru 3.22
Sm (0.5751, 0.7630, 0.7487)  7 Ga 2.96-3.21, 2 Ru 3.22
Sm (0.7365, 0.0758, 0.7494)  7 Ga 2.99-3.20, 2 Ru 3.21-3.22
Sm (0.7630, 0.5751, 0.2513)  7 Ga 2.96-3.21, 2 Ru 3.22
Sm (0.9242, 0.2635, 0.2506)  7 Ga 2.99-3.20, 2 Ru 3.21-3.22
Ga (0.0000, 0.5000, 0.0054)  4 Ru 2.59, 2 Ga 2.77-2.89
Ga (0.0000, 0.5000, 0.4944)  4 Ru 2.60, 2 Ga 2.77-2.89
Ga (0.0258, 0.8141, 0.7497)  4 Ru 2.56-2.58, 2 Ga 2.75
Ga (0.1799, 0.1799, 0.0000)  2 Ru 2.54, 4 Ga 2.75-2.83
Ga (0.1802, 0.1802, 0.5000)  2 Ru 2.55, 4 Ga 2.75-2.83
Ga (0.1859, 0.9742, 0.2503)  4 Ru 2.56-2.58, 2 Ga 2.75
Ga (0.3112, 0.4736, 0.7417)  3 Ru 2.55-2.57, 3 Ga 2.62-2.81
Ga (0.3163, 0.6837, 0.0000)  2 Ru 2.53, 2 Ga 2.81
Ga (0.3204, 0.6796, 0.5000)  2 Ru 2.56, 4 Ga 2.72-2.83
Ga (0.4736, 0.3112, 0.2583)  3 Ru 2.55-2.57, 3 Ga 2.62-2.81
Ga (0.5000, 0.0000, 0.5056)  4 Ru 2.60, 2 Ga 2.77-2.89
Ga (0.5000, 0.0000, 0.9946)  4 Ru 2.59, 2 Ga 2.77-2.89
Ga (0.5000, 0.5000, 0.0000)  4 Ga 2.62, 2 Ru 2.83
Ga (0.5264, 0.6888, 0.2583)  3 Ru 2.55-2.57, 3 Ga 2.62-2.81
Ga (0.6796, 0.3204, 0.5000)  2 Ru 2.56, 4 Ga 2.72-2.83
Ga (0.6837, 0.3163, 0.0000)  2 Ru 2.53, 2 Ga 2.81
Ga (0.6888, 0.5264, 0.7417)  3 Ru 2.55-2.57, 3 Ga 2.62-2.81
Ga (0.8141, 0.0258, 0.2503)  4 Ru 2.56-2.58, 2 Ga 2.75
Ga (0.8201, 0.8201, 0.0000)  2 Ru 2.54, 4 Ga 2.75-2.83